Two Years of Home

December 15, 2015. I remind myself regularly of this date. When I’m up at night, my brain whirrs as I count the days, weeks, months and now years since I turned my back on expat life. It seems like no time has passed at all, and yet all the time in the world has passed. DecemberContinue reading “Two Years of Home”

Seven Years After Solo Travel

“I hope you find what you’re looking for,” the ticket agent said to me before we hung up the phone on that winter night in Atlanta in 2010. Pure joy shot through my veins after we disconnected. Sitting in my apartment in the 100-year-old house, listening to the cars pass my house on their wayContinue reading “Seven Years After Solo Travel”

True Story: I’m a Recovering Expat

Editor’s Note: This should have been published on Dec. 15, 2016. I was hella sick so never published it on the actual one-year anniversary of surrendering my status as an expatriate. Better late than never, right? Hi. My name is Diana. I used to be an expat. For almost four years, it was how IContinue reading “True Story: I’m a Recovering Expat”

What Being an Expat Taught Me About Life

The photos flood my Facebook feed. They’ve been doing it for ages now, thanks to all the different ways memories are shared. Typically, I look at them, let my mind linger and then move on. But, there’s something different about the photos and moments popping up now: they’re no longer tangible. Let me explain.

Home: Las Vegas

Home: Las Vegas. It hits me when the sky gives way from black to a sea of glittering, golden lights. Some 20,000 feet below me is the Mojave Desert, which is slowly giving way to the Las Vegas Valley. Tears well up in my eyes, and there is no containing them. I’ve left my worldContinue reading “Home: Las Vegas”

Because Sometimes You Don’t Realize It’s Love Until It’s Gone

Here the piece breaks off for records of molecules.
-- begin --
# H20HeO10Xe

A structure of composition H20HeO10Xe (ωB97M-V with the def2-TZVPD basis set, OMol25).

Results
maximum force: 0.74 eV Å⁻¹
total energy: -1096.637225 Eh
relative energy (zero: lowest compared OMol25 entry of this formula, charge and spin): 4.7 kcal per mole
HOMO: -10.185 eV

Geometry (Å):
He -2.2206 3.1991 1.6178
Xe -0.4501 0.8353 -0.3265
O 2.7780 0.2912 -1.6975
H 2.6125 1.2033 -1.9358
H 3.4725 0.0097 -2.2930
O -1.7895 -0.1230 2.8829
H -2.5536 0.4393 2.7551
H -1.6033 -0.0655 3.8201
O 3.1046 3.2550 0.8386
H 2.9401 2.3388 1.0617
H 3.6635 3.5775 1.5455
O -1.6463 -2.3695 0.8881
H -0.9854 -2.8229 0.3647
H -1.1563 -1.9920 1.6186
O 3.0814 0.2808 1.6830
H 2.5152 -0.4729 1.8493
H 3.5241 0.0715 0.8605
O -3.8840 -1.0605 -0.3063
H -3.2376 -1.0843 0.3993
H -4.1839 -0.1517 -0.3264
O 1.4404 -2.0539 -0.6684
H 1.8119 -1.2120 -0.9318
H 1.3921 -2.0067 0.2864
O -1.2215 1.9022 -3.9800
H -1.2959 1.5145 -4.8520
H -0.4060 2.4026 -4.0086
O 0.9694 -2.0181 2.1153
H 0.8971 -2.8287 2.6193
H 0.4725 -1.3756 2.6217
O -2.8166 -0.1743 -3.0698
H -2.8971 -0.1204 -2.1175
H -2.3278 0.6116 -3.3142


# C18H35N3OPPdS2Si

A structure of composition C18H35N3OPPdS2Si (ωB97M-V with the def2-TZVPD basis set, OMol25).

Results
maximum force: 0.55 eV Å⁻¹
total energy: -2501.630457 Eh
relative energy (zero: lowest compared OMol25 entry of this formula, charge and spin): 14.1 kcal per mole
HOMO: -3.774 eV
net charge: -1

Geometry (Å):
Pd 0.0755 0.9223 0.1334
C 3.7787 3.3036 4.2208
Si 2.4398 4.5511 3.8577
C 3.2742 6.1610 3.3478
C 1.4910 4.8640 5.4526
C 1.1656 4.1523 2.5312
C 0.2133 5.1286 2.3180
C -0.8207 4.9620 1.3860
C -0.8470 3.7806 0.6906
N 0.0701 2.8267 0.8540
C 1.0775 2.9522 1.7575
S 2.1191 1.6023 1.8653
H 4.4277 3.7145 5.0021
H 4.3752 3.0884 3.3350
H 3.3635 2.3560 4.5618
H 3.9687 6.5021 4.1202
H 2.5458 6.9561 3.1735
H 3.8383 6.0188 2.4232
H 2.1665 5.1739 6.2545
H 0.9789 3.9536 5.7727
H 0.7344 5.6415 5.3270
H 0.2560 6.0489 2.8943
H -1.5829 5.7110 1.2258
H -1.6332 3.5605 -0.0222
O 0.2651 -0.9312 -0.5240
C -2.9321 0.8604 -1.8279
C -1.7325 0.3087 -2.5946
P -0.1795 1.1133 -2.0681
C 1.1747 0.3144 -3.0092
C 0.7851 -0.4428 -4.2784
C -0.2826 2.8054 -2.7834
C -0.3613 2.9074 -4.3055
H -3.8490 0.3499 -2.1277
H -3.0774 1.9291 -2.0078
H -2.7871 0.7077 -0.7569
H -1.8703 0.3846 -3.6767
H -1.5841 -0.7414 -2.3395
H 1.6189 -0.3772 -2.2935
H 1.9064 1.1000 -3.2195
H 0.1400 -1.2850 -4.0278
H 1.6723 -0.8461 -4.7715
H 0.2564 0.1806 -4.9999
H 0.6037 3.3324 -2.4158
H -1.1324 3.3126 -2.3210
H 0.5418 2.5114 -4.7696
H -0.4675 3.9481 -4.6192
H -1.2135 2.3547 -4.7049
S -1.3890 0.2950 2.1589
C -0.3344 -1.0009 2.6817
N -0.2729 -2.1292 2.0695
C 0.7416 -3.1002 2.4576
C 1.3129 -2.9042 3.8562
C 1.6515 -1.4346 4.0320
N 0.4337 -0.6758 3.8057
H -0.0418 -1.4736 0.2295
H 1.5501 -3.0482 1.7160
H 0.3073 -4.1008 2.3700
H 2.1969 -3.5305 4.0047
H 0.5685 -3.1862 4.6059
H 2.4400 -1.1394 3.3243
H 2.0161 -1.2219 5.0396
H 0.5598 0.3261 3.8473


# C27H45Cl6MgN3O7P
-- stop --

My heart races as the cab driver pulls up to the International Terminal at Madrid. I’ve been here before, but this time, it’s different. This time, I’m not hopping on a short flight to London, or heading to the States to procure my Spanish Visa. This time, I’m going back to Thailand. The longest placeContinue reading “Because Sometimes You Don’t Realize It’s Love Until It’s Gone”

What is Home?

Home, by definition, is the “place where one lives.” As a former corporate-world-woman, long-term traveler, and now a serial expat, home has been many places and continues to morph into new and different places where I wake up. It was where I grew up, with my family, in the middle-class suburbs of Washington, DC. ItContinue reading “What is Home?”

• These quantum chemistry results were left in the entry by mistake:
<<<
1.
C11H18FN2 | the ωB97M-V functional and the def2-TZVPD basis

The geometry in XYZ format:
```
32
Properties=species:S:1:pos:R:3:forces:R:3
C 3.264 -0.907 -0.195 0.49 -0.93 0.10
C 2.837 0.141 0.991 0.68 -0.30 0.12
C 2.505 1.674 0.452 -0.18 -1.23 -0.85
F 3.535 2.101 -0.547 -2.46 -0.94 2.36
C 1.072 1.606 -0.354 -3.88 -0.22 -1.53
C 0.834 2.016 -1.929 -3.47 -1.57 2.67
C -0.704 1.856 -2.539 0.80 -1.28 4.21
C -1.926 1.262 -1.565 4.60 0.93 0.34
N -1.605 0.875 -0.132 3.05 1.56 -2.26
C -2.713 0.296 0.733 -1.71 -1.08 -0.32
C -2.271 -1.017 1.609 -0.20 -0.09 0.13
C -1.401 -2.141 0.792 0.88 -0.01 0.43
N -2.161 -2.778 -0.384 1.48 1.34 0.04
C -0.229 1.039 0.475 0.62 1.09 -3.10
H 3.806 -0.411 -1.114 -1.27 -0.81 1.94
H 2.352 -1.578 -0.569 1.90 1.70 0.75
H 4.052 -1.676 0.265 -1.79 1.72 -0.97
H 3.715 0.209 1.785 -1.81 0.04 -1.79
H 1.926 -0.350 1.575 1.74 1.43 -1.23
H 2.518 2.413 1.362 -0.13 -1.17 -2.12
H 1.724 2.401 -2.590 -2.00 -0.84 1.49
H -0.922 2.132 -3.657 0.36 -0.63 2.52
H -3.025 1.140 -1.962 2.46 0.17 1.11
H -3.184 1.149 1.384 1.06 -1.70 -1.19
H -3.550 -0.082 -0.029 1.83 1.04 1.64
H -3.264 -1.565 1.976 2.07 1.39 -0.86
H -1.728 -0.626 2.576 -0.86 -1.04 -1.90
H -0.392 -1.742 0.329 -1.76 -0.21 1.36
H -1.077 -2.967 1.590 -0.94 1.70 -1.86
H -1.378 -3.222 -0.953 -1.59 0.59 0.76
H -2.515 -1.980 -0.989 0.63 -1.32 0.85
H -0.097 0.733 1.614 -0.60 0.69 -2.82
```
Forces are in eV/Å.

The structure (SMILES) is CC[C@@H](F)c1ccc[n+](CCCN)c1. The energy above the lowest of the compared OMol25 structures with the same formula, charge and spin is 3.7383 eV. The molecular weight is 197.3 g mol⁻¹. As for the lowest unoccupied orbital energy: -5.08 eV. As for the spin multiplicity: 1. For the total energy, the calculation gives -17380.5821 eV. As for the largest force on an atom: 4.70 eV/Å. Its net charge is +1. The calculation puts the HOMO-LUMO gap at 7.60 eV.

These are the Mulliken partial charges, in e, on atoms 1 to 4: number 1, C, carries -0.8691; number 2, C, carries -0.3906; number 3, C, carries 0.1413; number 4, F, carries -0.3144

---

2.
C11H18MoN4PS | the ωB97M-V functional and the def2-TZVPD basis

The geometry in XYZ format:
```
36
Properties=species:S:1:pos:R:3:forces:R:3
Mo -0.461 -0.413 -1.077 -0.42 -0.37 -0.10
C 0.261 -1.876 2.936 0.01 0.02 -0.05
C 0.324 -1.462 1.519 0.23 -0.08 0.02
N -0.680 -0.944 0.870 -0.23 0.17 0.05
N -1.905 -0.795 1.490 0.22 -0.03 -0.33
C -2.881 -0.896 0.635 -0.25 -0.05 0.14
N -4.150 -0.804 0.991 0.11 0.00 0.00
S -2.580 -1.171 -1.137 0.32 0.09 0.04
C 1.532 -1.645 0.680 -0.24 0.09 -0.03
C 2.729 -2.138 1.122 0.13 -0.06 0.01
C 3.769 -2.323 0.198 0.01 -0.02 0.09
C 3.570 -2.020 -1.136 0.02 -0.01 -0.06
C 2.338 -1.525 -1.530 -0.05 -0.03 0.19
N 1.346 -1.325 -0.639 0.25 -0.10 -0.06
H -0.762 -2.068 3.246 -0.02 0.01 -0.01
H 0.650 -1.063 3.562 0.01 -0.01 0.00
H 0.880 -2.755 3.109 -0.02 -0.01 0.02
H -4.382 -0.686 1.970 -0.01 0.00 0.01
H -4.907 -1.007 0.355 -0.02 0.02 -0.02
H 2.869 -2.391 2.165 0.02 0.00 -0.01
H 4.722 -2.716 0.533 0.00 0.00 0.00
>>>

9 Things to Know About Expat Life

Today marks three years of life as an expat. If you asked me three years ago, when I arrived wide-eyed to Chiang Mai if I ever would have imagined being in Spain today, I would have likely looked at you and laughed … because really? That notion, then, seemed absurd. And yet … here IContinue reading “9 Things to Know About Expat Life”

The world of expats: more of what you need to know

-- Misplaced molecular data --
'''
Here is a molecular structure, C36H64AsF6O28 in a non-equilibrium geometry from the OMol25 dataset. Energies are from wB97M-V/def2-TZVPD.

Calculated values
**Net charge**: -1

Geometry as XYZ:
```
135
C36H64AsF6O28 (wB97M-V/def2-TZVPD)
As 15.35874 21.48701 7.42725
F 13.85513 21.70236 6.47542
F 16.32112 22.43020 6.25720
F 16.91295 21.17613 8.34777
F 14.40176 20.60157 8.67556
F 15.63429 19.94469 6.54755
F 14.98978 22.99820 8.35188
C 11.93942 25.35042 2.90253
O 12.09732 26.57874 3.53812
H 11.74800 24.56287 3.63138
H 11.12846 25.36662 2.17439
H 12.81417 25.09001 2.30663
H 12.99547 26.54479 3.87543
C 17.15302 18.85222 12.92785
O 18.23757 18.02170 13.33398
H 17.37858 19.90606 12.76466
H 16.80342 18.40213 11.99870
H 16.30423 18.86317 13.61162
H 17.81455 17.20235 13.60100
C 16.85521 27.68636 4.02689
O 16.29875 26.78645 4.96584
H 17.94014 27.76799 4.09297
H 16.57254 27.32487 3.03819
H 16.37847 28.66619 4.05444
H 16.79659 25.96584 4.94683
C 21.02916 17.94832 8.27962
O 20.97501 19.32908 8.11847
H 22.06814 17.68276 8.47479
H 20.42455 17.66057 9.13970
H 20.69065 17.41192 7.39317
H 20.08507 19.68905 8.12406
C 12.46323 21.79673 15.75338
C 11.66385 22.41119 14.55377
C 12.03711 22.08367 13.10709
O 10.78987 21.70877 12.54578
C 9.86998 21.75244 13.43493
O 8.69843 21.65108 13.11706
O 10.32456 21.98020 14.65674
H 12.35355 20.71251 15.77605
H 12.08342 22.17586 16.70212
H 13.50710 22.09263 15.64915
H 11.74251 23.48949 14.69229
H 12.75945 21.28176 13.25959
H 12.41213 22.95258 12.56632
C 11.10005 28.94653 8.85187
C 12.00736 28.10135 9.87615
C 13.42838 28.27075 9.49622
O 14.04818 28.56392 10.73396
C 13.10216 28.67467 11.73151
O 13.35763 28.99928 12.93115
O 11.89672 28.58970 11.19705
H 11.43147 29.98403 8.80893
H 10.05684 28.90140 9.16459
H 11.26697 28.43400 7.90448
H 11.81057 27.04268 9.70708
H 13.55710 29.06624 8.76225
H 13.86960 27.37654 9.05597
C 12.37558 20.31245 0.94632
C 11.23159 20.20111 -0.08827
C 10.05254 19.36971 0.35984
O 8.99100 20.33024 0.40584
C 9.37257 21.49263 -0.11405
O 8.58500 22.38337 -0.34759
O 10.71935 21.46042 -0.25579
H 11.92521 20.39059 1.93584
H 13.05605 21.13009 0.70855
H 12.90986 19.36415 1.00447
H 11.61153 19.77631 -1.01740
H 10.14686 18.88957 1.33384
H 9.84177 18.55421 -0.33201
C 8.64214 16.70186 11.05240
C 9.71418 15.93141 11.79832
C 11.13262 16.50034 11.81942
O 11.46456 16.51567 13.17055
C 10.41388 16.36464 13.88626
O 10.33060 16.39905 15.12423
O 9.40933 15.96072 13.14331
H 8.95367 16.75884 10.00942
H 8.41397 17.66824 11.50203
H 7.78648 16.03001 10.98481
H 9.69915 14.87989 11.51163
H 11.10205 17.54120 11.49729
H 11.88187 15.99118 11.21323
C 20.63403 21.44131 2.29318
C 20.60258 20.00191 2.85789
C 19.40517 19.15369 2.42329
O 20.00781 17.86717 2.17806
C 21.31450 17.99032 2.05692
O 22.06445 17.09484 1.72331
O 21.68066 19.24388 2.43455
H 19.79573 21.99609 2.71459
H 20.56551 21.50264 1.20707
H 21.55249 21.98816 2.50642
H 20.58922 20.08330 3.94477
H 19.01981 19.60919 1.51110
H 18.62413 19.05557 3.17726
C 19.65375 28.99855 9.77727
'''

So … you want to be an expat? Making the decision to leave your home country and experience another country is one which should not be an impulsive decision. After being an expat for nearly three years, there are a lot of things to consider before packing up your home life, quitting the job andContinue reading “The world of expats: more of what you need to know”